**Assignment:**
Your job: find the line further below that holds "data_Ce3Hg", then reproduce that line and all lines after it there.
**Given:**
1.
Theoretical powder diffractogram
Compound: Ce3Hg
Radiation: Cu Kα (weighted mean of Kα1 and Kα2)
Structure: DFT lattice parameters and positions (PBE)

Crystal structure
```
data_Ce3Hg
_cell_length_a 4.6794
_cell_length_b 4.6794
_cell_length_c 9.7535
_cell_angle_alpha 90.00
_cell_angle_beta 90.00
_cell_angle_gamma 90.00
_symmetry_space_group_name_H-M 'P 1'
_symmetry_Int_Tables_number 1
loop_
_symmetry_equiv_pos_as_xyz
'x,y,z'
loop_
_atom_site_label
_atom_site_type_symbol
_atom_site_fract_x
_atom_site_fract_y
_atom_site_fract_z
_atom_site_occupancy
Ce1 Ce 0.0000 0.0000 0.0000 1
Ce2 Ce 0.0000 0.5000 0.2500 1
Ce3 Ce 0.0000 0.5000 0.7500 1
Ce4 Ce 0.5000 0.0000 0.2500 1
Ce5 Ce 0.5000 0.0000 0.7500 1
Ce6 Ce 0.5000 0.5000 0.5000 1
Hg1 Hg 0.0000 0.0000 0.5000 1
Hg2 Hg 0.5000 0.5000 0.0000 1
```

Most intense lines, 5° ≤ 2θ ≤ 70°, in order of rising 2θ:
18.19 deg, rel. 1
21.06 deg, rel. 3
32.71 deg, rel. 100
33.56 deg, rel. 1
36.86 deg, rel. 18
38.48 deg, rel. 32
44.27 deg, rel. 1
54.34 deg, rel. 24
55.55 deg, rel. 11
63.79 deg, rel. 15
65.97 deg, rel. 27
68.54 deg, rel. 12

---

2.
Theoretical powder diffractogram
Compound: CeHg
Radiation: Cu Kα (weighted mean of Kα1 and Kα2)
Structure: DFT lattice parameters and positions (PBE)

Crystal structure
```
data_CeHg
_cell_length_a 3.8290
_cell_length_b 3.8290
_cell_length_c 3.8290
_cell_angle_alpha 90.00
_cell_angle_beta 90.00
_cell_angle_gamma 90.00
_symmetry_space_group_name_H-M 'P 1'
_symmetry_Int_Tables_number 1
loop_
_symmetry_equiv_pos_as_xyz
'x,y,z'
loop_
_atom_site_label
_atom_site_type_symbol
_atom_site_fract_x
_atom_site_fract_y
_atom_site_fract_z
_atom_site_occupancy
Ce1 Ce 0.0000 0.0000 0.0000 1
Hg1 Hg 0.5000 0.5000 0.5000 1
```

Most intense lines, 5° ≤ 2θ ≤ 70°, in order of rising 2θ:
23.23 deg, rel. 4
33.09 deg, rel. 100
40.82 deg, rel. 1
47.49 deg, rel. 18
53.51 deg, rel. 2
59.10 deg, rel. 38
69.43 deg, rel. 12

---

3.
Theoretical powder diffractogram
Compound: CeHg3
Radiation: Cu Kα (weighted mean of Kα1 and Kα2)
Structure: DFT lattice parameters and positions (PBE)

Crystal structure
```
data_CeHg3
_cell_length_a 6.8704
_cell_length_b 6.8704
_cell_length_c 5.0612
_cell_angle_alpha 90.00
_cell_angle_beta 90.00
_cell_angle_gamma 120.00
_symmetry_space_group_name_H-M 'P 1'
_symmetry_Int_Tables_number 1
loop_
_symmetry_equiv_pos_as_xyz
'x,y,z'
loop_
_atom_site_label
_atom_site_type_symbol
_atom_site_fract_x
_atom_site_fract_y
_atom_site_fract_z
_atom_site_occupancy
Ce1 Ce 0.3333 0.6667 0.2500 1
Ce2 Ce 0.6667 0.3333 0.7500 1
Hg1 Hg 0.1639 0.3279 0.7500 1
Hg2 Hg 0.1639 0.8361 0.7500 1
Hg3 Hg 0.3279 0.1639 0.2500 1
Hg4 Hg 0.6721 0.8361 0.7500 1
Hg5 Hg 0.8361 0.1639 0.2500 1
Hg6 Hg 0.8361 0.6721 0.2500 1
```

Most intense lines, 5° ≤ 2θ ≤ 70°, in order of rising 2θ:
14.89 deg, rel. 2
23.07 deg, rel. 1
30.04 deg, rel. 25
34.99 deg, rel. 100
35.47 deg, rel. 21
44.06 deg, rel. 1
47.15 deg, rel. 15
53.34 deg, rel. 20
62.43 deg, rel. 3
63.38 deg, rel. 18
65.39 deg, rel. 17
65.70 deg, rel. 22

---

4.
Theoretical powder diffractogram
Compound: LiCeHg2
Radiation: Cu Kα (weighted mean of Kα1 and Kα2)
Structure: DFT lattice parameters and positions (PBE)

Crystal structure
```
data_LiCeHg2
_cell_length_a 7.2806
_cell_length_b 7.2806
_cell_length_c 7.2806
_cell_angle_alpha 90.00
_cell_angle_beta 90.00
_cell_angle_gamma 90.00
_symmetry_space_group_name_H-M 'P 1'
_symmetry_Int_Tables_number 1
loop_
_symmetry_equiv_pos_as_xyz
'x,y,z'
loop_
_atom_site_label
_atom_site_type_symbol
_atom_site_fract_x
_atom_site_fract_y
_atom_site_fract_z
_atom_site_occupancy
Li1 Li 0.0000 0.0000 0.0000 1
Li2 Li 0.0000 0.5000 0.5000 1
Li3 Li 0.5000 0.0000 0.5000 1
Li4 Li 0.5000 0.5000 0.0000 1
Ce1 Ce 0.0000 0.0000 0.5000 1
Ce2 Ce 0.0000 0.5000 0.0000 1
Ce3 Ce 0.5000 0.0000 0.0000 1
Ce4 Ce 0.5000 0.5000 0.5000 1
Hg1 Hg 0.2500 0.2500 0.2500 1
Hg2 Hg 0.2500 0.2500 0.7500 1
Hg3 Hg 0.2500 0.7500 0.2500 1
Hg4 Hg 0.2500 0.7500 0.7500 1
Hg5 Hg 0.7500 0.2500 0.2500 1
Hg6 Hg 0.7500 0.2500 0.7500 1
**Worked solution:**
data_Ce3Hg
_cell_length_a 4.6794
_cell_length_b 4.6794
_cell_length_c 9.7535
_cell_angle_alpha 90.00
_cell_angle_beta 90.00
_cell_angle_gamma 90.00
_symmetry_space_group_name_H-M 'P 1'
_symmetry_Int_Tables_number 1
loop_
_symmetry_equiv_pos_as_xyz
'x,y,z'
loop_
_atom_site_label
_atom_site_type_symbol
_atom_site_fract_x
_atom_site_fract_y
_atom_site_fract_z
_atom_site_occupancy
Ce1 Ce 0.0000 0.0000 0.0000 1
Ce2 Ce 0.0000 0.5000 0.2500 1
Ce3 Ce 0.0000 0.5000 0.7500 1
Ce4 Ce 0.5000 0.0000 0.2500 1
Ce5 Ce 0.5000 0.0000 0.7500 1
Ce6 Ce 0.5000 0.5000 0.5000 1
Hg1 Hg 0.0000 0.0000 0.5000 1
Hg2 Hg 0.5000 0.5000 0.0000 1
```

Most intense lines, 5° ≤ 2θ ≤ 70°, in order of rising 2θ:
18.19 deg, rel. 1
21.06 deg, rel. 3
32.71 deg, rel. 100
33.56 deg, rel. 1
36.86 deg, rel. 18
38.48 deg, rel. 32
44.27 deg, rel. 1
54.34 deg, rel. 24
55.55 deg, rel. 11
63.79 deg, rel. 15
65.97 deg, rel. 27
68.54 deg, rel. 12

---

2.
Theoretical powder diffractogram
Compound: CeHg
Radiation: Cu Kα (weighted mean of Kα1 and Kα2)
Structure: DFT lattice parameters and positions (PBE)

Crystal structure
```
data_CeHg
_cell_length_a 3.8290
_cell_length_b 3.8290
_cell_length_c 3.8290
_cell_angle_alpha 90.00
_cell_angle_beta 90.00
_cell_angle_gamma 90.00
_symmetry_space_group_name_H-M 'P 1'
_symmetry_Int_Tables_number 1
loop_
_symmetry_equiv_pos_as_xyz
'x,y,z'
loop_
_atom_site_label
_atom_site_type_symbol
_atom_site_fract_x
_atom_site_fract_y
_atom_site_fract_z
_atom_site_occupancy
Ce1 Ce 0.0000 0.0000 0.0000 1
Hg1 Hg 0.5000 0.5000 0.5000 1
```

Most intense lines, 5° ≤ 2θ ≤ 70°, in order of rising 2θ:
23.23 deg, rel. 4
33.09 deg, rel. 100
40.82 deg, rel. 1
47.49 deg, rel. 18
53.51 deg, rel. 2
59.10 deg, rel. 38
69.43 deg, rel. 12

---

3.
Theoretical powder diffractogram
Compound: CeHg3
Radiation: Cu Kα (weighted mean of Kα1 and Kα2)
Structure: DFT lattice parameters and positions (PBE)

Crystal structure
```
data_CeHg3
_cell_length_a 6.8704
_cell_length_b 6.8704
_cell_length_c 5.0612
_cell_angle_alpha 90.00
_cell_angle_beta 90.00
_cell_angle_gamma 120.00
_symmetry_space_group_name_H-M 'P 1'
_symmetry_Int_Tables_number 1
loop_
_symmetry_equiv_pos_as_xyz
'x,y,z'
loop_
_atom_site_label
_atom_site_type_symbol
_atom_site_fract_x
_atom_site_fract_y
_atom_site_fract_z
_atom_site_occupancy
Ce1 Ce 0.3333 0.6667 0.2500 1
Ce2 Ce 0.6667 0.3333 0.7500 1
Hg1 Hg 0.1639 0.3279 0.7500 1
Hg2 Hg 0.1639 0.8361 0.7500 1
Hg3 Hg 0.3279 0.1639 0.2500 1
Hg4 Hg 0.6721 0.8361 0.7500 1
Hg5 Hg 0.8361 0.1639 0.2500 1
Hg6 Hg 0.8361 0.6721 0.2500 1
```

Most intense lines, 5° ≤ 2θ ≤ 70°, in order of rising 2θ:
14.89 deg, rel. 2
23.07 deg, rel. 1
30.04 deg, rel. 25
34.99 deg, rel. 100
35.47 deg, rel. 21
44.06 deg, rel. 1
47.15 deg, rel. 15
53.34 deg, rel. 20
62.43 deg, rel. 3
63.38 deg, rel. 18
65.39 deg, rel. 17
65.70 deg, rel. 22

---

4.
Theoretical powder diffractogram
Compound: LiCeHg2
Radiation: Cu Kα (weighted mean of Kα1 and Kα2)
Structure: DFT lattice parameters and positions (PBE)

Crystal structure
```
data_LiCeHg2
_cell_length_a 7.2806
_cell_length_b 7.2806
_cell_length_c 7.2806
_cell_angle_alpha 90.00
_cell_angle_beta 90.00
_cell_angle_gamma 90.00
_symmetry_space_group_name_H-M 'P 1'
_symmetry_Int_Tables_number 1
loop_
_symmetry_equiv_pos_as_xyz
'x,y,z'
loop_
_atom_site_label
_atom_site_type_symbol
_atom_site_fract_x
_atom_site_fract_y
_atom_site_fract_z
_atom_site_occupancy
Li1 Li 0.0000 0.0000 0.0000 1
Li2 Li 0.0000 0.5000 0.5000 1
Li3 Li 0.5000 0.0000 0.5000 1
Li4 Li 0.5000 0.5000 0.0000 1
Ce1 Ce 0.0000 0.0000 0.5000 1
Ce2 Ce 0.0000 0.5000 0.0000 1
Ce3 Ce 0.5000 0.0000 0.0000 1
Ce4 Ce 0.5000 0.5000 0.5000 1
Hg1 Hg 0.2500 0.2500 0.2500 1
Hg2 Hg 0.2500 0.2500 0.7500 1
Hg3 Hg 0.2500 0.7500 0.2500 1
Hg4 Hg 0.2500 0.7500 0.7500 1
Hg5 Hg 0.7500 0.2500 0.2500 1
Hg6 Hg 0.7500 0.2500 0.7500 1